A few hundred gun rights activists gathered at Legislative Mall in Dover on Saturday to decry legislation they say will penalize gun owners rather than address the real problems of crime.
“People in the state of Delaware feel that their right to keep and bear arms is being infringed by the folks passing legislation in Legislative Hall,” said Jeff Hague, president of the Delaware State Sportsmen Association (DSSA), Delaware’s NRA state affiliate.
DSSA, which organized the event, opposes a package of gun reform legislation passed by Delaware lawmakers recently, including strengthening background checks, banning the sale of assault weapons and limiting high-capacity magazines.
Democrats introduced the gun measures after a series of mass shootings including the one in Uvalde, Texas, in which a gunman shot and killed 19 elementary schoolchildren and two teachers.
Republicans have been against much of this legislation and have alluded to a possible legal fight.
The legislation now heads to the governor, who has said he supports these bills.
Plenty of politicians running for office were in attendance at Saturday’s rally to show support for gun advocates, including Sen. Colin Bonini, a Dover Republican, who slowed down Senate voting last week in disapproval of the voting by mail and gun legislation.

NEW GUN LAWS:Delaware lawmakers pass historic gun legislation, including ban on sale of assault weapons

Chad Hastings, a self-described gun enthusiast and avid hunter from Sussex County, said the rally was the first he’s ever attended. He said that despite the hurdles, he was able to obtain a concealed carry permit and he enjoys hunting using an AR-style rifle. The same type of weapon that new gun owners would no longer be to legally purchase.
He explained that the law fails to recognize that while this class of weapon gets a bad rap, it’s actually a good option for someone who’d have difficulty managing the recoil from firing a handgun.
Hastings said that the problem with the new law prohibiting “large-capacity magazines” is that the government buyback program doesn’t give people back the money they paid for their magazines. He believes it’ll also discriminate against people who are not able to complete the process to obtain a concealed carry permit.

Materials data that have nothing to do with the entry =
┌──
Structure and calculated powder diffractogram of ThTl2AgS4 (a crystal structure in Alexandria, relaxed with GGA-PBE; Cu Kα (weighted mean of Kα1 and Kα2)).
No peak broadening, texture or thermal motion is included.

Main lines, by angle (2θ = 15–90°):
d (Å), two_theta, I/Imax, index
3.751, 23.72, 50, 0 0 2
3.385, 26.33, 72, 1 1 -1
3.273, 27.24, 34, 2 0 0
3.084, 28.95, 59, 2 0 -2
2.924, 30.57, 100, 1 1 1
2.237, 40.31, 45, 1 1 -3
2.024, 44.79, 53, 0 2 0
1.692, 54.19, 20, 2 2 -2

Atomic structure:
Unit cell a=7.029 b=4.049 c=8.054 alpha=90.00 beta=111.35 gamma=90.00
Sites, in units of the cell vectors:
Th (0.000, 0.000, 0.000)
Tl (0.000, 0.500, 0.500)
Tl (0.500, 0.000, 0.500)
Ag (0.500, 0.500, 0.000)
S (0.212, 0.500, 0.222)
S (0.284, 0.000, 0.817)
S (0.716, 0.000, 0.183)
S (0.788, 0.500, 0.778)

* * * * *

(1)
Structure and computed X-ray diffraction stick pattern of In2Ga17 (DFT lattice parameters and positions (PBE); Cu Ka).
Neutral-atom scattering factors, no anomalous dispersion.

Structural model:
a b c (Å): 9.2766 9.2766 15.5517
angles (deg): 90.00 90.00 120.00
Space group R-3m (No. 166, hexagonal axes)
Symmetry-distinct sites (fractional):
In: 0.0000 0.0000 0.1862 (multiplicity 6)
Ga: 0.0000 0.0000 0.3961 (multiplicity 6)
Ga: 0.0000 0.2878 0.5000 (multiplicity 18)
Ga: 0.0000 0.5000 0.0000 (multiplicity 9)
Ga: 0.0359 0.5179 0.6213 (multiplicity 18)

Largest 10 diffraction maxima, by angle, 10° ≤ 2θ ≤ 90°:
2θ 31.63, d = 2.828 Å, I = 45, hkl 1 2 2; 2θ 32.04, d = 2.794 Å, I = 27, hkl 0 2 4; 2θ 33.46, d = 2.678 Å, I = 28, hkl 3 0 0; 2θ 34.61, d = 2.592 Å, I = 17, hkl 0 0 6; 2θ 36.54, d = 2.459 Å, I = 100, hkl 2 0 5; 2θ 37.81, d = 2.379 Å, I = 84, hkl 0 3 3; 2θ 38.83, d = 2.319 Å, I = 52, hkl 2 2 0; 2θ 42.71, d = 2.117 Å, I = 28, hkl 2 2 3; 2θ 68.81, d = 1.364 Å, I = 22, hkl 4 2 5; 2θ 70.34, d = 1.338 Å, I = 22, hkl 6 0 0

---

(2)
Structure and computed X-ray diffraction stick pattern of Pm2ThPt3 (DFT lattice parameters and positions (PBE); Cu Ka).
Neutral-atom scattering factors, no anomalous dispersion.

Structural model:
a b c (Å): 4.181 4.181 17.730
angles (deg): 90.00 90.00 90.00
Space group I4/mmm (No. 139)
Symmetry-distinct sites (fractional):
Pm: 0.000 0.000 0.167 (multiplicity 4)
Th: 0.000 0.000 0.500 (multiplicity 2)
Pt: 0.000 0.000 0.000 (multiplicity 2)
Pt: 0.000 0.000 0.336 (multiplicity 4)

Largest 10 diffraction maxima, by angle, 10° ≤ 2θ ≤ 90°:
2θ 21.84, d = 4.069 Å, I = 2, hkl 1 0 1; 2θ 26.11, d = 3.413 Å, I = 1, hkl 1 0 3; 2θ 30.24, d = 2.956 Å, I = 100, hkl 1 1 0; 2θ 31.91, d = 2.805 Å, I = 1, hkl 1 1 2; 2θ 41.69, d = 2.166 Å, I = 1, hkl 1 0 7; 2θ 43.29, d = 2.090 Å, I = 76, hkl 2 0 0; 2θ 53.71, d = 1.707 Å, I = 27, hkl 2 0 6; 2θ 62.88, d = 1.478 Å, I = 13, hkl 2 2 0; 2θ 71.35, d = 1.322 Å, I = 35, hkl 3 1 0; 2θ 79.41, d = 1.207 Å, I = 26, hkl 3 1 6

---

(3)
Structure and computed X-ray diffraction stick pattern of CsCSe (DFT lattice parameters and positions (PBE); Cu Ka).
└──

Both Hague and Hastings said they feel that legislators need to spend more time addressing problems that cause people to commit crimes. The way to reduce crimes starts with more drug treatment programs, education, and addressing dysfunction in families, they said.
“It’s easy to go after the object, to demonize the object, because the object can’t fight back,” said Hague.
He also pointed to gangs and a lenient criminal justice system as those that are causing problems.

“You go after the people that are causing the problem… They need to go to prison and not be given third and fourth and fifth chances,” Hague said.
Other rally attendees, like Sarah Coleman of Bridgeville, said they were there because they support gun ownership and that any attempt to weaken their rights is just a small step closer to authoritarianism.
“We’re just not happy with our rights being taken away,” Coleman said. “And we’re just kind of out here in unison and trying to bring awareness to it.”
Delaware’s gun reform measures may face another challenge.
Read more:Supreme Court strikes down New York gun law, making it easier for Americans to carry handguns
In a major expansion of gun rights the Supreme Court said Thursday that Americans have a right to carry firearms in public for self-defense, a ruling likely to lead to more people legally armed.